RenéPOURRIAS, born in Angers on April 21, 1918, had a Baccalauréat in literature and a Certificate in general mathematics when he joined the École in October 1949. He remained Director of Studies until July 1967. Francis PICHARD (class of 1954) remembers Abbé POURRIAS fondly: " Through his influence, he gave real credibility to ESSCA. The Director, Monsieur COCARD (1952/67), and he formed a real team, a tandem. "

This was indeed the opinion of the head of the School, who paid him a heartfelt tribute in a speech delivered to the UCO authorities to celebrate his five years as Director: " The School has come through some very difficult times (. . thanks (...) to the excellent and friendly collaboration I found with Abbé POURRIAS ".

Francis PICHARD also recalls that the latter " had inaugurated a highly innovative course entitled 'Morality in Business', which we would now call ethics . "

For Jacqueline COUPIN (class of 1962) " he was an intelligent Director, severe but fair . "

"L'Abbé" or "Poupou", as several generations of graduating classes affectionately called him, was a coach, certainly a leader of men, but above all a catalyst, and in this respect a true pedagogue. His aim was to bring out the best in everyone. He constantly tried to put students in a position to demonstrate to themselves and to others what they were capable of. The Gaston BERGER class (1962/65) shares this analysis: " He led us to discover unsuspected riches within ourselves. "

A promoter of personal fulfillment through teamwork, he knew how to set up concrete projects whose tangible success was an undeniable initiation for future graduates.

To this end, he created the " RYTHME " magazine, whose content he largely supervised, developing the themes and personally contributing numerous articles to each issue. The promo Jacques CARTIER (1956/59) expressed its gratitude to him in the first issue of 1959: "It would be an understatement to say that without him, this magazine would never have seen the light of day . The structure and rhythm of (this publication) are to some extent his work, and we owe him much more: it's to his presence, to his many suggestions as to subject and form, that we owe the fact that we have tried, continued and succeeded (...)".

With his complex temperament, Abbé POURRIAS enjoyed combining the two seemingly irreconcilable dimensions oftradition and innovation.

His action was certainly aimed at restoring the primacy of man in a system that tended to escape him: "Man is the center and supreme value in this temporal world that he wants to serve him.Man so well scrutinized, analyzed, boned in his biological, psychological or social depths, and yet so mysterious and baffling for the most learned (...). "

But he was also aninquisitive and pragmatic mind, keen to look ahead and adapt to the latest techniques and scientific advances. The Class of La Pérouse (1959/60) can testify to this: " Our Director of Studies is a pedagogue with a passion for active methods. He brings in consultants from major Parisian firms for days of group work, devoted to company organization and the study of concrete cases... We work up a sweat writing flow diagrams for documents, we embark on a vast survey on the future of Greater Angers, we learn about punch-card computing.For us, the future has a name: IBM 1401!

(Here the piece breaks off for records of crystals)
____________
Calculated X-ray powder pattern of Pr2CoCuN2 for Cu Kα (weighted mean of Kα1 and Kα2), from a DFT-relaxed cell (GGA-PBE, OQMD).
Neutral-atom scattering factors, no anomalous dispersion.

Most intense lines, 2θ from 10° to 90°, in order of rising 2θ:
two_theta	d [Å]	Rel. int.	hkl
23.34	3.811	18	0 1 0
34.35	2.611	88	1 1 0
34.49	2.601	100	0 1 2
35.56	2.524	92	1 0 2
42.97	2.105	20	1 1 2
47.72	1.906	22	0 2 0
50.98	1.791	18	2 0 0
60.91	1.521	37	1 2 2
63.01	1.475	33	2 1 2
63.26	1.470	30	1 1 4

Structure:
```
data_Pr2CoCuN2
_chemical_formula_sum 'Pr2 Co1 Cu1 N2'
_cell_length_a 3.5829
_cell_length_b 3.8114
_cell_length_c 7.1150
_cell_angle_alpha 90.00
_cell_angle_beta 90.00
_cell_angle_gamma 90.00
_symmetry_space_group_name_H-M 'P 1'
_symmetry_Int_Tables_number 1
loop_
_symmetry_equiv_pos_as_xyz
'x,y,z'
loop_
_atom_site_label
_atom_site_fract_x
_atom_site_fract_y
_atom_site_fract_z
_atom_site_occupancy
Pr1 0.0000 0.0000 0.2484 1
Pr2 0.0000 0.0000 0.7516 1
Co1 0.5000 0.5000 0.0000 1
Cu1 0.5000 0.5000 0.5000 1
N1 0.0000 0.5000 0.0000 1
N2 0.5000 0.0000 0.5000 1
```

=====

The following is a theoretical powder XRD pattern of Tl4Pd7Au. It was derived from a structure optimized by DFT (PBE), using Cu Kα X-rays.
Lines closer than 0.1° are merged.

Structure:
```
12
Lattice="5.6089 -2.5464 0.0000 5.6089 2.5464 0.0000 -5.0546 0.0000 8.3903" Properties=species:S:1:pos:R:3 pbc="T T T"
Tl -0.4027 0.0000 2.3274
Tl -1.4028 0.0000 6.9612
Tl 7.5660 0.0000 1.4291
Tl 6.5658 0.0000 6.0629
Pd -2.5273 0.0000 4.1952
Pd 1.4012 0.0000 0.2154
Pd 0.3857 0.0000 4.9281
Pd 3.8647 0.0000 1.4466
Pd 2.2984 0.0000 6.9437
Pd 5.7775 0.0000 3.4622
Pd 4.7620 0.0000 8.1749
Au 3.0816 0.0000 4.1952
```

Principal peaks in the range 2θ = 15–90°, low angle first:
25.69 deg, intensity 30; 29.88 deg, intensity 59; 34.45 deg, intensity 68; 35.25 deg, intensity 100; 36.86 deg, intensity 33; 39.12 deg, intensity 78; 41.95 deg, intensity 30; 42.94 deg, intensity 42; 50.11 deg, intensity 48; 51.92 deg, intensity 25
____________

As a testament to the attachment he had aroused, on his departure, the students pledged to give him... a car!